A Conversation with Baltimore Writer and CityLit Founder Gregg Wilhelm by Malka Herman
“I’m working on a new book,” says Gregg Wilhem to the bartender at Atomic Café located in the celebrated alternative bookstore Atomic Books in Hampden, “You’re gonna really dig this one, Benn. It’s this poetry anthology and it’s going to be great. This friend and I, we had this idea over beers as many bad ideas happen. We asked ourselves, if we could do a poetry anthology about any album what would it be? We thought of the band, the Clash. We just sent the book to the publisher. It’s forty poets from around the country and every track is covered from the album London Calling.” Clearly this is a man passionate about his work.
Wilhelm is rightly proud of his accomplishments. He has spent his life editing, publishing, writing, and teaching. He is eager to share information about CityLit Project, a program he founded in 2004 that promotes the literary arts in Baltimore. He jokes that the true founder of CityLit Festival was Hurricane Isabel. In 2004 Isobel made it impossible to hold the Baltimore Book Festival. The first CityLit Festival was held that April so “two calendar years would not pass without a celebration of literature in Baltimore.”
Gregg’s marketing savvy and previous experience in the publishing world helped make the festival a huge success. Today, the annual CityLit Festival boasts an audience of thousands and has become a “can’t miss event” in Baltimore. Gregg, who in his role as Executive Director of the CityLit Project has expanded the CityLit brand to include programs like City Lit Kids, the imprint City Lit Press as well as the Write Here, Write Now workshops. The next CityLit Festival is coming up on Saturday, May 2.
Gregg’s love of Baltimore has played a large role in his career choices. As a Baltimore native, he decided not to move to popular publishing cities and instead help Baltimore develop a more cohesive literary community. He describes Baltimore as “open, non-judgmental, and collaborative.” He criticizes communities like New York, which are filled with literary “cliques” and “numerous barriers that simply do not exist in Baltimore.”
[Misplaced records of crystals]
____________
{
  "formula": "ZnFeSi2O6",
  "functional": "GGA+U",
  "state": "relaxed",
  "spacegroup": "No. 15",
  "vol_a3_per_atom": 11.70,
  "dft_energy_ev_per_cell": -139.87,
  "dos_at_fermi_per_ev_cell": 0.000,
  "cell": [[4.9341, -4.7048, 0.0000], [4.9341, 4.7048, 0.0000], [-1.9304, 0.0000, 5.0421]],
  "species": ["Zn", "Zn", "Fe", "Fe", "Si", "Si", "Si", "Si", "O", "O", "O", "O", "O", "O", "O", "O", "O", "O", "O", "O"],
  "frac_coords": [[0.2361, 0.7639, 0.7500], [0.7639, 0.2361, 0.2500], [0.1038, 0.8962, 0.2500], [0.8962, 0.1038, 0.7500], [0.2206, 0.3866, 0.2789], [0.3866, 0.2206, 0.7789], [0.6134, 0.7794, 0.2211], [0.7794, 0.6134, 0.7211], [0.0408, 0.2088, 0.1607], [0.1471, 0.6188, 0.3768], [0.2088, 0.0408, 0.6607], [0.3336, 0.3778, 0.0410], [0.3778, 0.3336, 0.5410], [0.3812, 0.8529, 0.1232], [0.6188, 0.1471, 0.8768], [0.6222, 0.6664, 0.4590], [0.6664, 0.6222, 0.9590], [0.7912, 0.9592, 0.3393], [0.8529, 0.3812, 0.6232], [0.9592, 0.7912, 0.8393]]
}

~~~~~

[1]
Density functional theory data (GGA-PBE) for a geometry-optimized Dy2Ga5IrRu2 structure.

```
Dy2Ga5IrRu2
1.0
10.578 0.000 0.000
0.000 10.578 0.000
0.000 0.000 3.157
Dy Ga Ir Ru
4 10 2 4
Cartesian
1.927 3.362 0.000
3.362 8.651 0.000
7.216 1.927 0.000
8.651 7.216 0.000
0.000 5.289 1.579
0.574 8.547 1.579
2.031 0.574 1.579
3.258 5.863 1.579
4.715 3.258 1.579
5.289 0.000 1.579
5.863 7.320 1.579
7.320 4.715 1.579
8.547 10.004 1.579
10.004 2.031 1.579
0.000 0.000 0.000
5.289 5.289 0.000
1.359 6.648 0.000
3.930 1.359 0.000
6.648 9.219 0.000
9.219 3.930 0.000
```

Output
- Density: 10.0 Mg/m³
- N(E_F): 10.7 states/eV/cell
- Calculated formation energy: -0.39 eV per atom

***

[2]
Density functional theory data (GGA-PBE) for a geometry-optimized DyScGa2Ir2 structure.

```
DyScGa2Ir2
1.0
4.401 0.000 0.000
-2.201 3.812 0.000
0.000 0.000 6.558
Dy Sc Ga Ir
1 1 2 2
Cartesian
0.000 0.000 0.000
0.000 0.000 3.279
0.000 2.541 1.864
2.201 1.271 4.694
0.000 2.541 4.734
2.201 1.271 1.824
```

Output
- Density: 11.0 Mg/m³
- N(E_F): 3.1 states/eV/cell
- Calculated formation energy: -0.81 eV per atom

***

[3]
Density functional theory data (GGA-PBE) for a geometry-optimized Dy2GaSi3Ir4 structure.

```
Dy2GaSi3Ir4
1.0
4.140 0.000 0.000
0.000 4.140 0.000
0.000 0.000 9.990
Dy Ga Si Ir
2 1 3 4
Cartesian
0.000 2.070 2.487
2.070 0.000 7.503
2.070 2.070 0.000
0.000 0.000 0.000
0.000 2.070 6.282
2.070 0.000 3.708
0.000 0.000 4.995
0.000 2.070 8.628
2.070 0.000 1.362
2.070 2.070 4.995
```

Output
- Density: 12.1 Mg/m³
- N(E_F): 6.4 states/eV/cell
- Energy relative to the elements, uncorrected: -0.9906 eV per atom

***

[4]
Density functional theory data (GGA-PBE) for a geometry-optimized Dy2GaSi4Ir3 structure.

```
Dy2GaSi4Ir3
1.0
4.110 0.000 0.000
0.000 4.110 0.000
0.000 0.000 10.134
Dy Ga Si Ir
2 1 4 3
Cartesian
0.000 2.055 2.458
2.055 0.000 7.676
0.000 0.000 5.067
0.000 0.000 0.000
0.000 2.055 6.522
2.055 0.000 3.612
2.055 2.055 0.000
0.000 2.055 8.873
2.055 0.000 1.262
2.055 2.055 5.067
```

Output
- Density: 10.5 Mg/m³
____________
[So much for the records of crystals]
While grateful for the series of “lucky” events that he feels helped him get to where he is today, he is proud he has managed to carve a quality career in the notoriously challenging world of literature.
Nearing the later part our interview, after a beer or two, he slows down and becomes more introspective. “My advice is not to stop writing. What I’ve found—is you will get embroiled in a career. Part of what inspired me to go back to school in my forties is because I stopped writing… but that took twenty years. I kind of lost that time. I would write for Hopkins alumni magazines, but I never really got serious about it.”
He says he is writing more than ever now and the quality of his writing is the best it’s ever been. After graduating with an MFA in Creative Writing from University of Tampa in 2014 he found that he has kept the momentum that he returned to school to revive.
“But I haven’t been as productive as I would like. I can’t get a teaching position because I didn’t publish a book with my name on it.” I pipe up and add “yet” to the end of his sentence.
After all, this is a man who has been named ‘One to Watch’ by Urbanite Magazine as well as one of ‘40 under 40’ by the Baltimore Business Journal due to his tireless work on various aspects of CityLit. It is amazing that someone who has accomplished so much still feels unsatisfied. But that is what makes Gregg tick. There is always another author to be discovered, another project to be tackled, and another event in the works.
“I like to think that even though I haven’t written anything in the last 20 years and I haven’t published anything of note when it comes to fiction, I feel like I’ve been part of a very long apprenticeship.”
Malka Herman is a Baltimore based writer with an unhealthy interest in music, theatre, and art that makes her uncomfortable. You can check out more of her writing at Brine.
Upcoming festival: NINTH ANNUAL CityLit Festival at Pratt Library
Saturday, May 2, 2012, 10 am – 5 pm
Central Library
400 Cathedral Street
Baltimore, MD 21201
CityLit Project info:
120 S Curley St
Baltimore, MD 21224
[email protected]